Building community resources together: productive assets creation in Zimbabwe

Tuesday, May 23, 2017

Community member collecting water at the rehabilitated community water point.

“This was a blessing from the Almighty,” explains Sikabayi, a beneficiary of one of World Vision’s productive asset creation (PAC) projects in Hwange district. She goes on to explain that through the Mabale PAC project her village now has a safe dip tank for their cattle, a community garden growing nutritious crops, and clean water to drink. Sibabayi is just one of over 14,000 beneficiaries of the PAC project in Zimbabwe.

What is productive asset creation?

According to the World Food Program (WFP), PAC works to empower vulnerable communities to move away from dependency on food assistance and lead in the creation of assets that increase their resilience to future food security shocks. Practically, PAC is a way to establish and rehabilitate community infrastructure—including small dams, dip tanks for livestock hygiene and access roads—as a way to ensure that communities have access to food, even during lean agricultural seasons.

Target beneficiaries are able bodied (non-labor constrained) yet chronically vulnerable who live in areas that are affected by recurrent extreme weather events. In Zimbabwe, this programme works with communities to rehabilitate community, household and co-managed assets in order to diversify diets, enhance natural resources, improve crop yield, livestock productivity, strengthen market integration and collaboration with the private sector.

Flourishing garden in a PAC assisted community garden.

 Understanding Hwange and Mudzi districts

Implemented by World Vision Zimbabwe with support from WFP and the Government of Zimbabwe, World Vision’s PAC programme worked to improve food security and the nutritional status of target communities in Hwange and Mudzi districts by increasing resilience to shocks through productive asset creation and the enhancement of income opportunities for food insecure households.

The Hwangeand Mudzi districts lie in regions that are generally dry, and usually receive less than 650mm of rainfall per year. Even with a dry climate, community members rely on rain-fed agriculture as the main livelihood. Changes in weather patterns have left local communities particularly food insecure in the past few years. In an effort to address this issue, World Vision Zimbabwe and partners have collaborated with communities to rehabilitate and establish productive assets within the communities.

[Someone pasted crystal structures at this point]
____________
[1]
## DyYAgAu (GGA-PBE)

Data for an optimized crystal structure of DyYAgAu.

Cell: 3.610 3.610 7.279 Å, 90.00 90.00 90.00°
Atoms (fractional coordinates):
Dy: 0.000 0.000 0.000
Y: 0.000 0.000 0.490
Ag: 0.500 0.500 0.748
Au: 0.500 0.500 0.241

Output
DOS(E_F) in states/eV/cell: 2.6
Formation energy in eV per formula unit: -2.4


[2]
## DyYAgAu (GGA-PBE)

Data for an optimized crystal structure of DyYAgAu.

Cell: 5.117 5.117 5.117 Å, 60.00 60.00 60.00°
Atoms (fractional coordinates):
Dy: 0.000 0.000 0.000
Y: 0.500 0.500 0.500
Ag: 0.750 0.750 0.750
Au: 0.250 0.250 0.250

Output
DOS(E_F) in states/eV/cell: 2.8
Formation energy in eV per formula unit: -2.4


[3]
## DyZrAgAu (GGA-PBE)

Data for an optimized crystal structure of DyZrAgAu.

Cell: 4.988 4.988 4.988 Å, 60.00 60.00 60.00°
Atoms (fractional coordinates):
Dy: 0.000 0.000 0.000
Zr: 0.500 0.500 0.500
Ag: 0.750 0.750 0.750
Au: 0.250 0.250 0.250

Output
DOS(E_F) in states/eV/cell: 4.5
Formation energy in eV per formula unit: -1.4


[4]
## ErAgAu4 (GGA-PBE)

Data for an optimized crystal structure of ErAgAu4.

Cell: 5.525 5.525 5.525 Å, 60.00 60.00 60.00°
Atoms (fractional coordinates):
Er: 0.000 0.000 0.000
Ag: 0.750 0.750 0.750
Au: 0.375 0.375 0.375
Au: 0.375 0.375 0.874
Au: 0.375 0.874 0.375
Au: 0.874 0.375 0.375

Output
DOS(E_F) in states/eV/cell: 5.8
Formation energy in eV per formula unit: -2.2


[5]
## Er5Ag4Au (GGA-PBE)

Data for an optimized crystal structure of Er5Ag4Au.

Cell: 3.566 3.566 18.260 Å, 90.00 90.00 90.00°
Atoms (fractional coordinates):
Er: 0.000 0.000 0.000
Er: 0.000 0.000 0.201
Er: 0.000 0.000 0.403
Er: 0.000 0.000 0.597
Er: 0.000 0.000 0.799
Ag: 0.500 0.500 0.100
Ag: 0.500 0.500 0.300
Ag: 0.500 0.500 0.700
Ag: 0.500 0.500 0.900
Au: 0.500 0.500 0.500

Output
DOS(E_F) in states/eV/cell: 4.3
Formation energy in eV per formula unit: -4.5


[6]
## Er12AgAu6 (GGA-PBE)

Data for an optimized crystal structure of Er12AgAu6.

Cell: 8.399 8.399 8.399 Å, 100.31 100.31 100.31°
Atoms (fractional coordinates):
Er: 0.064 0.674 0.934
Er: 0.066 0.936 0.326
Er: 0.178 0.427 0.577
Er: 0.326 0.066 0.936
Er: 0.423 0.822 0.573
Er: 0.427 0.577 0.178
Er: 0.573 0.423 0.822
Er: 0.577 0.178 0.427
Er: 0.674 0.934 0.064
Er: 0.822 0.573 0.423
Er: 0.934 0.064 0.674
Er: 0.936 0.326 0.066
Ag: 0.000 0.000 0.000
Au: 0.137 0.614 0.304
Au: 0.304 0.137 0.614
Au: 0.386 0.696 0.863
Au: 0.614 0.304 0.137
Au: 0.696 0.863 0.386
Au: 0.863 0.386 0.696

Output
DOS(E_F) in states/eV/cell: 21.1
Formation energy in eV per formula unit: -7.6


[7]
## ErAg2Au (GGA-PBE)

Data for an optimized crystal structure of ErAg2Au.

Cell: 4.840 4.840 4.840 Å, 60.00 60.00 60.00°
Atoms (fractional coordinates):
Er: 0.000 0.000 0.000
Ag: 0.250 0.250 0.250
Ag: 0.750 0.750 0.750
Au: 0.500 0.500 0.500

Output
DOS(E_F) in states/eV/cell: 2.4
Formation energy in eV per formula unit: -1.3


[8]
## Er2Ag3Au (GGA-PBE)

Data for an optimized crystal structure of Er2Ag3Au.

Cell: 3.405 4.722 8.179 Å, 90.00 90.00 90.00°
____________

Partnering with the community for change

Throughout 2015, World Vision Zimbabwe worked with community members to build and rehabilitate key community assets through a cash and food for work/assets programme. In Mabale, four key community assets were supported by 120 community workers, who rehabilitated dip tanks and boreholes and constructed livestock troughs and a community garden, complete with fencing.

Across all of the project sites in Hwange and Mudzi, 14,085 beneficiaries (including 6,927 children and 2,960 workers) benefitted from the construction and rehabilitation of six dams and six dip tanks, as well as the creation of four gardens for long-term sustainability. For their participation in this project, beneficiaries received a total of 666,755 metric tons of food and $405,900 cash to meet immediate food needs.

Community members in the Mudzi district work together to build a community dip tank.

 Looking to the long-term

The PAC has had great success in the communities where it has been implemented. Community members are appreciative that the project leaves behind tangible assets that enhance long-term community resilience. PAC programmes are a powerful bridge between relief and development, evolving food assistance from an emergency intervention to one that supports both the immediate relief and long-term development needs of a community. In this way, PAC programmes empower community members to radically transform their communities and create lasting improvements in health, nutrition and education outcomes.

As Sitshengisiwe, an agriculture extension worker in the Mabale ward shared, “I am very happy about this project […] given the importance of agriculture for the livelihoods of the rural poor, agricultural growth has the potential to greatly reduce food insecurity – a key contributor to poor health and malnutrition.”

World Vision is proud to partner with communities to build productive assets and a hunger-free future. 

Mabale community dip tank before and after rehabilitation through the PAC project. Livestock are no longer getting hurt in the dipping process.